Echo all of the calculation results underneath unchanged.

Entry 1:
! MnFeNi2Pt (PBE-GGA, optimized geometry); values from VASP
&SYSTEM
  ibrav = 0, nat = 5, ntyp = 4
/
ATOMIC_SPECIES
Ni 58.69 Ni.upf
Mn 54.94 Mn.upf
Fe 55.84 Fe.upf
Pt 195.08 Pt.upf
ATOMIC_POSITIONS angstrom
Ni 1.945 0.464 0.701
Ni -0.628 1.976 0.436
Mn -0.534 -0.582 1.869
Fe 0.000 0.000 0.000
Pt 0.782 1.858 3.005
CELL_PARAMETERS angstrom
-1.257 3.951 0.871
-1.069 -1.164 3.738
3.889 0.928 1.401
! Total energy (eV/atom): -6.082
! Energy of formation from the pure elements (eV/atom): 0.965

---

Entry 2:
! USi2Ru4 (PBE-GGA, optimized geometry); values from VASP
&SYSTEM
  ibrav = 0, nat = 28, ntyp = 3
/
ATOMIC_SPECIES
U 238.03 U.upf
Si 28.09 Si.upf
Ru 101.07 Ru.upf
ATOMIC_POSITIONS angstrom
U 2.969 6.432 10.574
U 0.990 0.006 5.986
U 0.990 3.213 14.266
U 2.969 3.225 2.294
Si 0.990 4.698 8.970
Si 2.969 1.740 7.590
Si 2.969 1.479 15.870
Si 0.990 4.959 0.690
Si 0.990 6.364 12.927
Si 2.969 0.074 3.633
Si 2.969 3.145 11.913
Si 0.990 3.293 4.647
Ru 0.990 1.782 11.327
Ru 2.969 4.656 5.234
Ru 2.969 5.001 13.514
Ru 0.990 1.437 3.046
Ru 0.990 4.475 11.408
Ru 2.969 1.963 5.152
Ru 2.969 1.256 13.433
Ru 0.990 5.182 3.128
Ru 0.990 0.903 8.840
Ru 2.969 5.535 7.720
Ru 2.969 4.122 16.000
Ru 0.990 2.316 0.560
Ru 0.990 3.206 7.055
Ru 2.969 3.232 9.505
Ru 2.969 6.425 1.225
Ru 0.990 0.013 15.335
CELL_PARAMETERS angstrom
3.958 0.000 0.000
0.000 6.438 0.000
0.000 0.000 16.560
! Total energy (eV/atom): -9.009
! Energy relative to the elements, uncorrected (meV/atom): -547

---

Entry 3:
! PSe2Br (PBE-GGA, optimized geometry); values from VASP
&SYSTEM
  ibrav = 0, nat = 16, ntyp = 3
/
ATOMIC_SPECIES
P 30.97 P.upf
Se 78.96 Se.upf
Br 79.90 Br.upf
ATOMIC_POSITIONS angstrom
P -4.972 -0.108 6.065
P -5.899 -2.310 2.749
P -7.588 0.610 9.282
P -3.284 -3.027 -0.468
Se -12.570 2.783 4.033
Se 1.699 -5.200 4.781
Se -7.721 -1.620 4.036
Se -3.151 -0.797 4.778
Se -3.505 -4.524 1.258
Se -7.366 2.106 7.556
Se -6.380 -1.587 0.624
Se -4.491 -0.830 8.190
Br -5.052 1.003 1.848
Br -5.820 -3.421 6.966
Br -0.987 -2.876 2.217
Br -9.885 0.459 6.597
CELL_PARAMETERS angstrom
-3.365 -3.708 -1.910
3.340 -5.497 4.787
-10.846 6.788 5.937
! Total energy (eV/atom): -3.532
! Energy relative to the elements, uncorrected (meV/atom): -19
! E above lowest polymorph (kJ per mole of atoms): 0.0

---

Entry 4:
! AcNdCuSn (PBE-GGA, optimized geometry); values from VASP
&SYSTEM
  ibrav = 0, nat = 4, ntyp = 4
/
ATOMIC_SPECIES
Ac 227.00 Ac.upf
Nd 144.24 Nd.upf
Sn 118.71 Sn.upf
Cu 63.55 Cu.upf
ATOMIC_POSITIONS angstrom
Ac 2.773 -6.076 0.727
Nd 0.000 0.000 0.000
Sn 1.386 -3.038 0.363
Cu 4.159 -9.115 1.090
CELL_PARAMETERS angstrom
-0.788 -5.084 1.903
2.152 -4.288 -2.659
4.181 -2.780 2.209
! Total energy (eV/atom): -4.601
! Energy of formation from the pure elements (eV/atom): -0.357

---

Entry 5:
! Ti2Cu2B (PBE-GGA, optimized geometry); values from VASP
&SYSTEM
  ibrav = 0, nat = 10, ntyp = 3
/
ATOMIC_SPECIES
B 10.81 B.upf
Cu 63.55 Cu.upf
Ti 47.87 Ti.upf
ATOMIC_POSITIONS angstrom
B 0.000 0.000 0.000
B 0.310 -4.148 -0.414
Cu 0.277 -3.574 2.590
Cu -0.367 -6.489 1.434
Cu -2.550 -5.225 -0.536
Cu -1.906 -2.310 0.620
Ti 1.844 -4.936 0.988
Ti -0.070 -6.209 -1.156
Ti -1.224 -3.360 -1.816
Ti 0.690 -2.087 0.328
CELL_PARAMETERS angstrom
-2.646 -4.074 -3.368
3.266 -4.222 2.541
-2.893 -0.504 2.882
! Total energy (eV/atom): -5.761
! Energy of formation from the pure elements (eV/atom): 0.371
! E above lowest polymorph (kJ per mole of atoms): 2.7

---

Entry 6:
! BaAl2Zn3 (PBE-GGA, optimized geometry); values from VASP
&SYSTEM
  ibrav = 0, nat = 12, ntyp = 3
/
ATOMIC_SPECIES
Ba 137.33 Ba.upf
Al 26.98 Al.upf
Zn 65.41 Zn.upf
ATOMIC_POSITIONS angstrom
Ba 1.398 2.169 1.769
Ba 4.195 4.387 3.579
Al 2.796 5.287 0.211
Al 0.000 5.287 0.211
Al 0.000 1.269 5.137
Al 2.796 1.269 5.137
Zn 4.195 3.089 -0.031
Zn 4.195 0.590 3.032
Zn 1.398 3.467 5.379
Zn 4.195 0.529 0.432
Zn 1.398 6.027 4.916
Zn 1.398 5.966 2.316
CELL_PARAMETERS angstrom
5.593 0.000 0.000
0.000 6.686 -1.504
0.000 -0.130 6.852
! Total energy (eV/atom): -2.403

Entry 1:
! MnFeNi2Pt (PBE-GGA, optimized geometry); values from VASP
&SYSTEM
  ibrav = 0, nat = 5, ntyp = 4
/
ATOMIC_SPECIES
Ni 58.69 Ni.upf
Mn 54.94 Mn.upf
Fe 55.84 Fe.upf
Pt 195.08 Pt.upf
ATOMIC_POSITIONS angstrom
Ni 1.945 0.464 0.701
Ni -0.628 1.976 0.436
Mn -0.534 -0.582 1.869
Fe 0.000 0.000 0.000
Pt 0.782 1.858 3.005
CELL_PARAMETERS angstrom
-1.257 3.951 0.871
-1.069 -1.164 3.738
3.889 0.928 1.401
! Total energy (eV/atom): -6.082
! Energy of formation from the pure elements (eV/atom): 0.965

---

Entry 2:
! USi2Ru4 (PBE-GGA, optimized geometry); values from VASP
&SYSTEM
  ibrav = 0, nat = 28, ntyp = 3
/
ATOMIC_SPECIES
U 238.03 U.upf
Si 28.09 Si.upf
Ru 101.07 Ru.upf
ATOMIC_POSITIONS angstrom
U 2.969 6.432 10.574
U 0.990 0.006 5.986
U 0.990 3.213 14.266
U 2.969 3.225 2.294
Si 0.990 4.698 8.970
Si 2.969 1.740 7.590
Si 2.969 1.479 15.870
Si 0.990 4.959 0.690
Si 0.990 6.364 12.927
Si 2.969 0.074 3.633
Si 2.969 3.145 11.913
Si 0.990 3.293 4.647
Ru 0.990 1.782 11.327
Ru 2.969 4.656 5.234
Ru 2.969 5.001 13.514
Ru 0.990 1.437 3.046
Ru 0.990 4.475 11.408
Ru 2.969 1.963 5.152
Ru 2.969 1.256 13.433
Ru 0.990 5.182 3.128
Ru 0.990 0.903 8.840
Ru 2.969 5.535 7.720
Ru 2.969 4.122 16.000
Ru 0.990 2.316 0.560
Ru 0.990 3.206 7.055
Ru 2.969 3.232 9.505
Ru 2.969 6.425 1.225
Ru 0.990 0.013 15.335
CELL_PARAMETERS angstrom
3.958 0.000 0.000
0.000 6.438 0.000
0.000 0.000 16.560
! Total energy (eV/atom): -9.009
! Energy relative to the elements, uncorrected (meV/atom): -547

---

Entry 3:
! PSe2Br (PBE-GGA, optimized geometry); values from VASP
&SYSTEM
  ibrav = 0, nat = 16, ntyp = 3
/
ATOMIC_SPECIES
P 30.97 P.upf
Se 78.96 Se.upf
Br 79.90 Br.upf
ATOMIC_POSITIONS angstrom
P -4.972 -0.108 6.065
P -5.899 -2.310 2.749
P -7.588 0.610 9.282
P -3.284 -3.027 -0.468
Se -12.570 2.783 4.033
Se 1.699 -5.200 4.781
Se -7.721 -1.620 4.036
Se -3.151 -0.797 4.778
Se -3.505 -4.524 1.258
Se -7.366 2.106 7.556
Se -6.380 -1.587 0.624
Se -4.491 -0.830 8.190
Br -5.052 1.003 1.848
Br -5.820 -3.421 6.966
Br -0.987 -2.876 2.217
Br -9.885 0.459 6.597
CELL_PARAMETERS angstrom
-3.365 -3.708 -1.910
3.340 -5.497 4.787
-10.846 6.788 5.937
! Total energy (eV/atom): -3.532
! Energy relative to the elements, uncorrected (meV/atom): -19
! E above lowest polymorph (kJ per mole of atoms): 0.0

---

Entry 4:
! AcNdCuSn (PBE-GGA, optimized geometry); values from VASP
&SYSTEM
  ibrav = 0, nat = 4, ntyp = 4
/
ATOMIC_SPECIES
Ac 227.00 Ac.upf
Nd 144.24 Nd.upf
Sn 118.71 Sn.upf
Cu 63.55 Cu.upf
ATOMIC_POSITIONS angstrom
Ac 2.773 -6.076 0.727
Nd 0.000 0.000 0.000
Sn 1.386 -3.038 0.363
Cu 4.159 -9.115 1.090
CELL_PARAMETERS angstrom
-0.788 -5.084 1.903
2.152 -4.288 -2.659
4.181 -2.780 2.209
! Total energy (eV/atom): -4.601
! Energy of formation from the pure elements (eV/atom): -0.357

---

Entry 5:
! Ti2Cu2B (PBE-GGA, optimized geometry); values from VASP
&SYSTEM
  ibrav = 0, nat = 10, ntyp = 3
/
ATOMIC_SPECIES
B 10.81 B.upf
Cu 63.55 Cu.upf
Ti 47.87 Ti.upf
ATOMIC_POSITIONS angstrom
B 0.000 0.000 0.000
B 0.310 -4.148 -0.414
Cu 0.277 -3.574 2.590
Cu -0.367 -6.489 1.434
Cu -2.550 -5.225 -0.536
Cu -1.906 -2.310 0.620
Ti 1.844 -4.936 0.988
Ti -0.070 -6.209 -1.156
Ti -1.224 -3.360 -1.816
Ti 0.690 -2.087 0.328
CELL_PARAMETERS angstrom
-2.646 -4.074 -3.368
3.266 -4.222 2.541
-2.893 -0.504 2.882
! Total energy (eV/atom): -5.761
! Energy of formation from the pure elements (eV/atom): 0.371
! E above lowest polymorph (kJ per mole of atoms): 2.7

---

Entry 6:
! BaAl2Zn3 (PBE-GGA, optimized geometry); values from VASP
&SYSTEM
  ibrav = 0, nat = 12, ntyp = 3
/
ATOMIC_SPECIES
Ba 137.33 Ba.upf
Al 26.98 Al.upf
Zn 65.41 Zn.upf
ATOMIC_POSITIONS angstrom
Ba 1.398 2.169 1.769
Ba 4.195 4.387 3.579
Al 2.796 5.287 0.211
Al 0.000 5.287 0.211
Al 0.000 1.269 5.137
Al 2.796 1.269 5.137
Zn 4.195 3.089 -0.031
Zn 4.195 0.590 3.032
Zn 1.398 3.467 5.379
Zn 4.195 0.529 0.432
Zn 1.398 6.027 4.916
Zn 1.398 5.966 2.316
CELL_PARAMETERS angstrom
5.593 0.000 0.000
0.000 6.686 -1.504
0.000 -0.130 6.852
! Total energy (eV/atom): -2.403